Online services let kids shop; parents relax
Vickie Dowling, who enters eighth grade this fall in Woodbridge, Va., faced a problem that many teenagers confront. She wanted to shop online but she didn't have a way to pay.
Instead of giving Vickie a credit card, her mother, Laura, signed her up for an iCanBuy account. The service, one of several new online payment options for children, allows preteens and teens to shop on the Web. But unlike cash, this online money allows parents to control where their children shop and how much they spend.
"She's accumulated all this money in her savings account and we just never have time to go out and spend it," says Mrs. Dowling. "This gives her time to sit down and browse on her own."
The limit: Vickie can only buy up to $50 worth of merchandise unless her mother chooses to replenish the account.
Other parents may want to put on more controls. "Parents might decide a 10-year-old is too young to buy perfume," says Carol Kruse, cofounder and vice president of marketing for RocketCash Corp., based in Saratoga, Calif. So they can turn off access to RocketCash's perfume vendor. They can also disable access to the service during certain times of day, such as school hours or homework time.
+++
1.
This entry pairs a crystal structure of KHfMg2Nb with its calculated powder diffraction line list. Radiation: Cu Ka. Structure: DFT lattice parameters and positions (PBE).
Peak positions follow from Bragg's law for the DFT cell and can differ from measured ones.

Top 8 peaks for 10 to 90 degrees two-theta, in order of falling intensity:
d = 2.832 Å, I = 100
d = 3.455 Å, I = 72
d = 2.443 Å, I = 55
d = 4.944 Å, I = 39
d = 1.738 Å, I = 38
d = 2.010 Å, I = 32
d = 3.475 Å, I = 31
d = 2.472 Å, I = 28

Atomic structure:
```
KHfMg2Nb
1.0
4.8867 0.0000 0.0000
0.0000 4.8867 0.0000
0.0000 0.0000 4.9436
K Hf Mg Nb
1 1 2 1
Cartesian
0.0000 0.0000 0.0000 K
2.4433 2.4433 2.4718 Hf
0.0000 2.4433 0.0000 Mg
2.4433 0.0000 0.0000 Mg
0.0000 0.0000 2.4718 Nb
```

=====

2.
This entry pairs a crystal structure of ZnIn2S4 with its calculated powder diffraction line list. Radiation: Cu Ka. Structure: DFT lattice parameters and positions (PBE).
Peak positions follow from Bragg's law for the DFT cell and can differ from measured ones.

Top 8 peaks for 10 to 90 degrees two-theta, in order of falling intensity:
d = 4.202 Å, I = 100
d = 3.149 Å, I = 87
d = 1.961 Å, I = 76
d = 3.279 Å, I = 64
d = 3.366 Å, I = 61
d = 1.777 Å, I = 53
d = 2.817 Å, I = 45
d = 2.161 Å, I = 42

Atomic structure:
```
ZnIn2S4
1.0
3.9214 0.0000 0.0000
-1.9607 3.3960 0.0000
0.0000 0.0000 25.2146
Zn In S
2 4 8
Cartesian
0.0000 0.0000 0.0000 Zn
0.0000 0.0000 12.6073 Zn
0.0000 2.2640 4.6827 In
0.0000 2.2640 21.2988 In
1.9607 1.1320 8.6916 In
1.9607 1.1320 17.2899 In
0.0000 0.0000 3.5994 S
0.0000 0.0000 9.9438 S
0.0000 0.0000 16.2067 S
0.0000 0.0000 22.5510 S
0.0000 2.2640 0.5009 S
0.0000 2.2640 7.1404 S
1.9607 1.1320 13.1081 S
1.9607 1.1320 19.7477 S
```

=====

3.
This entry pairs a crystal structure of CuAgAsS4 with its calculated powder diffraction line list. Radiation: Cu Ka. Structure: DFT lattice parameters and positions (PBE).
Peak positions follow from Bragg's law for the DFT cell and can differ from measured ones.

Top 8 peaks for 10 to 90 degrees two-theta, in order of falling intensity:
d = 3.108 Å, I = 100
d = 4.996 Å, I = 37
d = 1.824 Å, I = 34
d = 1.739 Å, I = 32
d = 2.098 Å, I = 26
d = 4.197 Å, I = 13
d = 1.151 Å, I = 12
d = 2.551 Å, I = 11

Atomic structure:
```
CuAgAsS4
1.0
5.9352 0.0000 0.0000
0.0000 5.9352 0.0000
0.0000 0.0000 9.2532
Cu Ag As S
2 2 2 8
Cartesian
0.0000 0.0000 0.0000 Cu
2.9676 2.9676 4.6266 Cu
0.0000 0.0000 4.6266 Ag
2.9676 2.9676 0.0000 Ag
0.0000 2.9676 2.3133 As
2.9676 0.0000 6.9399 As
1.2323 1.5239 1.1629 S
1.4437 4.1999 3.4637 S
1.5239 4.7029 8.0903 S
1.7353 1.4437 5.7895 S
4.1999 4.4915 5.7895 S
4.4113 1.2323 8.0903 S
4.4915 1.7353 3.4637 S
4.7029 4.4113 1.1629 S
```

=====

4.
This entry pairs a crystal structure of CaTaRu with its calculated powder diffraction line list. Radiation: Cu Ka. Structure: DFT lattice parameters and positions (PBE).
Peak positions follow from Bragg's law for the DFT cell and can differ from measured ones.
+++
The services also offer interest-bearing accounts (to encourage children to save for the future) and links to charities (so they can donate some of their money).
"We really want kids to think seriously about all the ways their money works in the world," says Ginger Thomson, president of doughNet Inc. The San Francisco-based payment service lets children use their electronic money to support groups such as Save the Children, Natural Resources Defense Council, and the Rainforest Alliance. "Perhaps we could begin to start a lifetime of supporting a need," Ms. Thomson says.
**Inserted here: calculated crystals**
~~~
No. 1
Starting from a structure optimized by DFT (PBE), the PXRD pattern of Al5Co4 was calculated for Cu Kα.
Neutral-atom scattering factors, no anomalous dispersion.

Main lines, in order of falling intensity (10° ≤ 2θ ≤ 90°):
- 43.82°, I = 100.0, (3 0 0)
- 42.54°, I = 19.6, (2 1 1)
- 30.60°, I = 17.5, (1 1 1)
- 80.56°, I = 13.5, (3 3 0)
- 63.70°, I = 11.9, (2 2 2)
- 56.57°, I = 9.9, (3 1 1)
- 28.83°, I = 9.9, (2 0 0)
- 35.43°, I = 6.5, (0 0 2)
- 85.05°, I = 6.4, (4 2 1)
- 68.53°, I = 6.3, (2 1 3)

Atomic structure:
Unit cell a=7.1526 b=7.1526 c=5.0670 alpha=90.00 beta=90.00 gamma=120.00
Space group P6_3/mcm (No. 193)
Asymmetric unit:
Al 0.0000 0.2888 0.2500
Al 0.3333 0.6667 0.0000
Co 0.0000 0.0000 0.0000
Co 0.0000 0.3782 0.7500



No. 2
Starting from a structure optimized by DFT (PBE), the PXRD pattern of NaGaS2 was calculated for Cu Kα.
Neutral-atom scattering factors, no anomalous dispersion.

Main lines, in order of falling intensity (10° ≤ 2θ ≤ 90°):
- 26.35°, I = 100.0, (2 2 -2)
- 33.89°, I = 90.5, (2 2 3)
- 48.94°, I = 56.9, (4 0 -6)
- 13.14°, I = 48.5, (0 0 2)
- 49.94°, I = 47.2, (4 4 -1)
- 14.66°, I = 37.7, (1 1 1)
- 16.77°, I = 35.2, (1 1 -2)
- 35.03°, I = 33.9, (3 1 -4)
- 32.99°, I = 30.1, (1 3 -3)
- 37.26°, I = 28.8, (1 3 -4)

Atomic structure:
Unit cell a=10.3300 b=10.3327 c=13.6661 alpha=90.00 beta=100.83 gamma=90.00
Space group C2/c (No. 15)
Asymmetric unit:
Na 0.0313 0.1848 0.3800
Na 0.2198 0.4368 0.1260
Ga 0.0991 0.1895 0.6513
Ga 0.1480 0.4366 0.8485
S 0.0000 0.0556 0.7500
S 0.0000 0.4292 0.2500
S 0.0510 0.3126 0.9530
S 0.1994 0.0619 0.5501
S 0.2424 0.1867 0.2504


Calculated powder diffractogram
Compound: LiPr2RuO5
Radiation: Cu Kα (weighted mean of Kα1 and Kα2)
Structure: a structure optimized by DFT (GGA-PBE)

Structure:
```
LiPr2RuO5
1.0
6.8911 0.0000 0.0000
0.0000 6.8911 0.0000
0.0000 0.0000 5.7975
Li Pr Ru O
2 4 2 10
Cartesian
0.0000 0.0000 0.0000
3.4455 3.4455 0.0000
1.2191 2.2264 2.8987
2.2264 5.6719 2.8987
4.6647 1.2191 2.8987
5.6719 4.6647 2.8987
0.0000 3.4455 0.0000
3.4455 0.0000 0.0000
0.0000 0.0000 2.8987
0.9284 4.3739 1.4308
0.9284 4.3739 4.3667
2.5171 0.9284 1.4308
2.5171 0.9284 4.3667
3.4455 3.4455 2.8987
4.3739 5.9627 1.4308
4.3739 5.9627 4.3667
5.9627 2.5171 1.4308
5.9627 2.5171 4.3667
```

Main lines, sorted by position (15° ≤ 2θ ≤ 90°):
| h k l | two_theta | I (rel.) |
| --- | --- | --- |
| 0 0 1 | 15.28 | 67 |
| 1 1 0 | 18.21 | 71 |
| 2 1 0 | 28.97 | 36 |
| 2 0 1 | 30.17 | 100 |
| 0 0 2 | 30.85 | 39 |
| 2 1 1 | 32.91 | 94 |
| 2 1 2 | 42.83 | 68 |
| 3 1 1 | 44.41 | 55 |

Calculated powder diffractogram
Compound: LiPr2SeO5
Radiation: Cu Kα (weighted mean of Kα1 and Kα2)
Structure: a structure optimized by DFT (GGA-PBE)

Structure:
```
LiPr2SeO5
1.0
6.8734 0.0000 0.0000
0.0000 6.8734 0.0000
0.0000 0.0000 5.9200
Li Pr Se O
2 4 2 10
Cartesian
0.0000 0.0000 0.0000
3.4367 3.4367 0.0000
1.2115 2.2252 2.9600
2.2252 5.6619 2.9600
4.6483 1.2115 2.9600
5.6619 4.6483 2.9600
0.0000 3.4367 0.0000
3.4367 0.0000 0.0000
~~~
The services differ somewhat in their presentation. The iCanBuy service has signed up users as young as 5 and as old as 19; doughNet only targets those age 13 and up. RocketCash and iCanBuy screen out adult-content books and videos that their online partners offer, while doughNet does not (although parents can disable access to the entire site). Coming soon are controls that will allow parents even more refined control over how their children spend.
"What we've pioneered in this industry is the ability to implement smart money - money that has permissions on it," says Paul Herman, chief executive and cofounder of
And the idea may catch on more broadly. "Some adults have told us they would like to use this for their spouse. Some adults have told us they would like to use this for themselves," Mr. Herman says.
1.
Structure and calculated X-ray powder pattern of HfMgInAg (a PBE-relaxed structure; Cu Kα (λ = 1.5418 Å)).
No peak broadening, texture or thermal motion is included.

```
data_HfMgInAg
_chemical_formula_sum 'Hf1 Mg1 In1 Ag1'
_symmetry_space_group_name_H-M 'P 4 m m'
_symmetry_Int_Tables_number 99
_cell_length_a 3.212
_cell_length_b 3.212
_cell_length_c 7.963
_cell_angle_alpha 90.00
_cell_angle_beta 90.00
_cell_angle_gamma 90.00
loop_
_symmetry_equiv_pos_as_xyz
'x,y,z'
'-y,x,z'
'-x,-y,z'
'y,-x,z'
'-x,y,z'
'y,x,z'
'x,-y,z'
'-y,-x,z'
loop_
_atom_site_label
_atom_site_type_symbol
_atom_site_fract_x
_atom_site_fract_y
_atom_site_fract_z
Hf1 Hf 0.000 0.000 0.000
Mg1 Mg 0.000 0.000 0.461
In1 In 0.500 0.500 0.733
Ag1 Ag 0.500 0.500 0.244
```

Main lines, most intense first (2θ from 10° to 80°):
- d = 2.500 Å, 2θ = 35.92°, I = 100.0, (1 0 2)
- d = 7.963 Å, 2θ = 11.11°, I = 42.7, (0 0 1)
- d = 2.271 Å, 2θ = 39.68°, I = 38.5, (1 1 0)
- d = 1.351 Å, 2θ = 69.58°, I = 27.9, (2 1 2)
- d = 2.979 Å, 2θ = 30.00°, I = 22.2, (1 0 1)
- d = 1.497 Å, 2θ = 61.99°, I = 18.9, (1 1 4)
- d = 1.606 Å, 2θ = 57.37°, I = 12.8, (2 0 0)
- d = 1.991 Å, 2θ = 45.57°, I = 12.1, (0 0 4)
- d = 1.250 Å, 2θ = 76.16°, I = 10.3, (2 0 4)
- d = 1.227 Å, 2θ = 77.88°, I = 9.0, (1 0 6)

***

2.
Structure and calculated X-ray powder pattern of HfAgIr (a PBE-relaxed structure; Cu Kα (λ = 1.5418 Å)).
No peak broadening, texture or thermal motion is included.

```
data_HfAgIr
_chemical_formula_sum 'Hf8 Ag8 Ir8'
_symmetry_space_group_name_H-M 'F m m m'
_symmetry_Int_Tables_number 69
_symmetry_space_group_name_Hall '-F 2 2'
_cell_length_a 5.409
_cell_length_b 5.412
_cell_length_c 15.013
_cell_angle_alpha 90.00
_cell_angle_beta 90.00
_cell_angle_gamma 90.00
loop_
_atom_site_label
_atom_site_type_symbol
_atom_site_fract_x
_atom_site_fract_y
_atom_site_fract_z
Hf1 Hf 0.000 0.000 0.181
Ag1 Ag 0.250 0.250 0.000
Ir1 Ir 0.000 0.000 0.357
```

Main lines, most intense first (2θ from 10° to 80°):
- d = 2.545 Å, 2θ = 35.26°, I = 100.0, (2 0 2)
- d = 2.195 Å, 2θ = 41.13°, I = 86.9, (2 0 4)
- d = 1.913 Å, 2θ = 47.53°, I = 67.7, (2 2 0)
- d = 2.705 Å, 2θ = 33.11°, I = 51.5, (2 0 0)
- d = 2.502 Å, 2θ = 35.89°, I = 48.2, (0 0 6)
- d = 1.520 Å, 2θ = 60.96°, I = 41.1, (2 2 6)
- d = 2.362 Å, 2θ = 38.10°, I = 38.4, (1 1 5)
- d = 1.871 Å, 2θ = 48.67°, I = 24.2, (1 1 7)
- d = 1.353 Å, 2θ = 69.49°, I = 21.7, (4 0 0)
- d = 1.285 Å, 2θ = 73.70°, I = 19.5, (1 1 11)

***

3.
Structure and calculated X-ray powder pattern of HfAgIr3 (a PBE-relaxed structure; Cu Kα (λ = 1.5418 Å)).
No peak broadening, texture or thermal motion is included.

```
data_HfAgIr3
_chemical_formula_sum 'Hf1 Ag1 Ir3'
_symmetry_space_group_name_H-M 'P m -3 m'
_symmetry_Int_Tables_number 221
_symmetry_space_group_name_Hall '-P 4 2 3'
_cell_length_a 4.826
_cell_length_b 4.826
_cell_length_c 4.826
_cell_angle_alpha 90.00
_cell_angle_beta 90.00
_cell_angle_gamma 90.00
loop_
_atom_site_label
_atom_site_type_symbol
_atom_site_fract_x
_atom_site_fract_y
Meanwhile, children are growing up with a new kind of money. "I like it," says Vickie, who bought books and computer games on the iCanBuy site. "It's very easy to get to instead of having to go out of the house."
(c) Copyright 1999. The Christian Science Publishing Society